Listing:
┌──
Below is crystalline PrTlP2Se6 at its relaxed geometry, with properties calculated at the GGA-PBE level.

Cell lengths 12.5364, 7.8329, 12.0422 Å; angles 90.00, 109.44, 90.00 degrees
Last column: nearest neighbours and their distance in Å.
Space group P2_1/c (No. 14)
One atom of each set of equivalent atoms:
Pr  0.1499  0.1030  0.4051 x4  9 Se 3.10-3.46
Tl  0.3733  0.5878  0.6252 x4  7 Se 3.33-3.52
P  0.1780  0.5965  0.2451 x4  3 Se 2.21-2.23, 1 P 2.25
P  0.2917  0.1189  0.7311 x4  3 Se 2.19-2.22, 1 P 2.25
Se  0.0522  0.0265  0.8142 x4  1 P 2.23
Se  0.0913  0.6927  0.0634 x4  1 P 2.23
Se  0.1715  0.1856  0.1310 x4  1 P 2.20
Se  0.2885  0.7099  0.8606 x4  1 P 2.21
Se  0.3717  0.2154  0.9129 x4  1 P 2.22
Se  0.3924  0.0180  0.6284 x4  1 P 2.19

Computed properties:
M_tot, μB/f.u.: 0.000
E, eV/atom: -4.547

----------

# 1
First-principles (PBE) data for a relaxed structure of KBeH6N3, as listed in the Materials Project database.

Geometry as extended XYZ:
```
176
Lattice="11.297 0.000 0.000 0.000 13.287 0.000 0.000 0.000 13.093" Properties=species:S:1:pos:R:3 pbc="T T T"
K 0.631 0.266 2.072
K 0.631 6.377 8.618
K 1.836 2.669 12.587
K 1.836 3.974 6.040
K 3.812 9.313 12.587
K 3.812 10.618 6.040
K 5.018 6.910 2.072
K 5.018 13.021 8.618
K 6.280 0.266 4.475
K 6.280 6.377 11.022
K 7.485 2.669 7.053
K 7.485 3.974 0.506
K 9.461 9.313 7.053
K 9.461 10.618 0.506
K 10.666 6.910 4.475
K 10.666 13.021 11.022
Be 0.341 3.274 9.704
Be 0.341 3.370 3.157
Be 2.317 7.395 5.889
Be 2.317 12.535 12.435
Be 3.332 0.752 5.889
Be 3.332 5.892 12.435
Be 5.308 9.917 9.704
Be 5.308 10.013 3.157
Be 5.990 3.274 9.936
Be 5.990 3.370 3.389
Be 7.965 7.395 0.658
Be 7.965 12.535 7.204
Be 8.980 0.752 0.658
Be 8.980 5.892 7.204
Be 10.956 9.917 9.936
Be 10.956 10.013 3.389
H 0.667 8.261 11.164
H 0.667 11.670 4.617
H 0.756 1.583 4.624
H 0.756 5.061 11.170
H 0.805 8.741 1.765
H 0.805 11.190 8.311
H 0.936 9.237 5.703
H 0.936 10.693 12.250
H 1.269 8.977 7.290
H 1.269 10.954 0.744
H 1.656 7.243 0.090
H 1.656 12.687 6.637
H 1.754 9.016 10.177
H 1.754 10.914 3.631
H 1.903 7.460 3.584
H 1.903 12.470 10.130
H 2.167 2.528 8.486
H 2.167 4.116 1.940
H 2.227 0.270 7.872
H 2.227 6.373 1.325
H 2.519 2.726 2.745
H 2.519 3.917 9.292
H 2.755 7.092 10.511
H 2.755 12.839 3.965
H 2.893 0.448 10.511
H 2.893 6.195 3.965
H 3.130 9.370 2.745
H 3.130 10.561 9.292
H 3.421 6.914 7.872
H 3.421 13.017 1.325
H 3.482 9.171 8.486
H 3.482 10.759 1.940
H 3.746 0.817 3.584
H 3.746 5.827 10.130
H 3.895 2.373 10.177
H 3.895 4.271 3.631
H 3.993 0.600 0.090
H 3.993 6.044 6.637
H 4.380 2.333 7.290
H 4.380 4.310 0.744
H 4.713 2.594 5.703
H 4.713 4.050 12.250
H 4.843 2.097 1.765
H 4.843 4.546 8.311
H 4.892 8.226 4.624
H 4.892 11.704 11.170
H 4.982 1.617 11.164
H 4.982 5.026 4.617
H 6.315 8.261 8.476
H 6.315 11.670 1.929
H 6.405 1.583 1.923
H 6.405 5.061 8.470
H 6.454 8.741 4.782
H 6.454 11.190 11.328
H 6.584 9.237 0.844
H 6.584 10.693 7.390
H 6.917 8.977 12.350
H 6.917 10.954 5.803
H 7.304 7.243 6.456
H 7.304 12.687 13.003
H 7.403 9.016 9.463
H 7.403 10.914 2.916
H 7.551 7.460 2.963
H 7.551 12.470 9.509
H 7.815 2.528 11.154
H 7.815 4.116 4.607
H 7.876 0.270 11.768
H 7.876 6.373 5.221
H 8.168 2.726 3.801
H 8.168 3.917 10.348
H 8.404 7.092 9.129
H 8.404 12.839 2.582
H 8.542 0.448 9.129
H 8.542 6.195 2.582
H 8.778 9.370 3.801
H 8.778 10.561 10.348
H 9.070 6.914 11.768
H 9.070 13.017 5.221
H 9.130 9.171 11.154
H 9.130 10.759 4.607
H 9.395 0.817 2.963
H 9.395 5.827 9.509
H 9.543 2.373 9.463
H 9.543 4.271 2.916
H 9.642 0.600 6.456
H 9.642 6.044 13.003
H 10.029 2.333 12.350
H 10.029 4.310 5.803
H 10.361 2.594 0.844
H 10.361 4.050 7.390
H 10.492 2.097 4.782
H 10.492 4.546 11.328
H 10.541 8.226 1.923
H 10.541 11.704 8.470
H 10.630 1.617 8.476
H 10.630 5.026 1.929
N 0.076 2.274 4.305
N 0.076 4.370 10.851
N 0.765 8.789 10.296
N 0.765 11.142 3.749
N 1.272 8.537 6.369
N 1.272 11.394 12.916
N 1.754 3.291 2.374
N 1.754 3.353 8.921
N 2.310 6.932 4.355
N 2.310 12.999 10.901
N 2.497 6.770 0.424
N 2.497 13.160 6.971
└──
Assignment:
It remains to reproduce only the lines above with the word "atoms" in them.
Result:
One atom of each set of equivalent atoms: